Customs officer Heinrich Sliacher: a German under the sign of Matthew the Apostle

To be a customs officer in the Christian world meant to expose one’s immortal soul to ruinous temptations. The name of a customs officer or a collector of taxes in the New Testament was synonymous to a sinner or a pagan. But even in the Holy Scriptures one could find something to justify this profession: Jesus himself sat down at the table together with tax collectors, and Matthew, the Apostle and Evangelist currently referred to as the patron of bankers, accountants, and tax collectors, was himself a tax collector.

Customs duties in the Grand Duchy of Lithuania were collected as far back as the 14th century. However, there are no data available about tax collectors. In the sources of the 15th century customs officers were often mentioned but all of them were “small fish”, most often they were Jews, and little is known about their personalities. It was German Heinrich Sliacher who took over an especially profitable Kaunas Customs of the Grand Duchy of Lithuania in 1496 and became an exceptional customs officer. That personally played a significant role in the history of Lithuanian economy.

Advantages and disadvantages of trade with the ruler

Do You Know?

The German merchant Heinrich Sliacher regarded to be the first person to have minted the Lithuanian coins laid the foundations for the monetary system of the Grand Duchy of Lithuania. In 1495 he became Chief of the mint opened in Vilnius.

Heinrich Sliacher is thought to have come from Reutlingen (currently Baden-Württemberg land in Germany), which belonged at that time to the Swabian League (Schwäbischer Bund). In the 14th-15th centuries German towns acted as intermediaries for Venetian merchants who carried luxury goods from the Near East. Perhaps through the trade networks of the town Heinrich Sliacher came to Krakow and became a citizen of that town in 1479. He engaged in trade and financial operations there, which sometimes opened the way to the King’s court. Though Heinrich Sliacher’s interests reached the Grand Duchy of Lithuania where he is mentioned during the last years of Casimir Jagiellon’s reign. He engaged in usual activities there. The entry in the account book of the Grand Duke Alexander in 1499 runs as follows: “The Duke owes Heinrich Sliacher for damasks, velvets, fabrics, for saffron, pepper and other spices used in the kitchen and for the debts of the courtiers warranted to him and certain amounts of money… All in all, the amount totals three thousand two hundred and sixty-four scores.” Hence, Heinrich Sliacher provided the court with luxury goods, kindly granted credits to the Ruler and the courtiers whose paying capacity was confirmed by the Ruler. He was a privileged merchant, carried wholesale trade with the help of pen and paper rather than with scales and weights. Closeness to the Ruler liberated Heinrich Sliacher’s trade from bureaucratic obstacles but at the same time “presented’ him with the court’s bills that remained unpaid for a long time. Seeking to compensate for the losses it was necessary to find additional sources of income, which would provide working capital.

Customs control guaranteed uninterrupted flow of cash therefore it was a dream of all large merchants.

Heinrich Sliacher managed to make this dream come true. In the middle of 1495, Grand Duke Alexander banished the Jews out of Lithuania. It seems that making use of the anti-Semitic wave that swept though Europe at that time the Ruler of Lithuania got rid of his old creditors in this way. It is difficult to say whether he was made to behave like that by Christian creditors too, but the latter found the expulsion of the Jews useful.

Heinrich Sliacher was not ordinary: he did not set his heart on the usual redemption of customs duties (in those days called arenda) but on the control of the whole emission of money of the Grand Duchy of Lithuania. Relations in the court and personal qualities helped Heinrich Sliacher to become Chief of the mint in Vilnius around 1495. Before that time Vilnius mint did not operate. Its opening was a novelty; it was at that time that the foundations for the monetary system that became established in the Grand Duchy of Lithuania were laid. Therefore, Heinrich Sliacher is sometimes regarded as the first persons to have minted the Lithuanian coins. After that, when in 1501 Alexander Jagiellon became King of Poland, Heinrich Sliacher was appointed Chief of the mint of Krakow.

Financial interests overshadow the national ones

It was impossible for one man to carry out such a wide range of activities (take care of trade, crediting of the court, supervision of the customs and the mint). Heinrich Sliacher was sometimes represented by his servant Iržik (most probably a Czech) in the court of Alexander Jagiellon. The relations between these two people testifies to Heinrich Sliacher’s possible activity in the market of Bohemia, which was thriving at that time. Ulrich Hozij, from Pforzheim in South Germany, and Henryk Karlovich (perhaps from Bohemia?) were Heinrich Sliacher’s closest people. They were Heinrich Sliacher’s business partners. The former married the widow of Heinrich Sliacher’s brother and at one time headed the mint of Krakow, and the latter married a sister of the widow of Heinrich Sliacher’s brother and in 1498 bought back the customs duties of Brest from the Ruler. These relations show that Heinrich Sliacher always belonged to the networks of the merchants of Central Europe (South Germany). This explains his disagreements with the Hansa merchants of northern Germany. At the beginning of 1495, the merchants of Revel (Tallinn) were happy with Heinrich Sliacher’s position in Vilnius; they did not communicate with him before that. Most probably they knew or felt that the ruler of Lithuania was going to get rid of the Jewish creditors.

Heinrich Sliacher’s position aroused hope that wide possibilities would be open in the market of the Grand Duchy of Lithuania to the merchants of the German nation.

{
  "formula": "C9H14",
  "method": "ωB97M-V with the def2-TZVPD basis set",
  "species": ["C", "C", "C", "C", "C", "C", "C", "H", "H", "H", "H", "H", "H", "H", "H", "C", "C", "H", "H", "H", "H", "H", "H"],
  "positions_angstrom": [[-0.2783, -0.3825, -2.6837], [-0.9392, 0.0917, -1.3886], [-2.2607, -0.2496, -1.1395], [-2.9405, 0.2051, -0.0785], [-2.1984, 0.9785, 0.9735], [-0.9219, 1.4401, 0.5790], [-0.3041, 1.0519, -0.6162], [-0.1426, -1.4842, -2.6037], [0.5212, 0.3295, -2.8036], [-0.9224, -0.1323, -3.4932], [-2.8191, -0.7966, -1.7654], [-3.9730, -0.3162, 0.1506], [-2.7200, 1.4502, 1.8000], [-0.4718, 2.3007, 1.0902], [0.5408, 1.6817, -0.9688], [2.4085, -0.1854, 2.0731], [2.6335, -1.3143, 1.0666], [2.8479, 0.7306, 1.8866], [1.3740, 0.0490, 2.2901], [2.5701, -0.4640, 3.1275], [3.0068, -2.2342, 1.5978], [3.4350, -1.2273, 0.2904], [1.5541, -1.5224, 0.6158]],
  "atomic_forces_ev_per_a": [[-0.870, 0.234, 1.613], [0.721, 0.619, -1.562], [1.802, 1.292, 1.345], [-0.719, -0.004, 5.210], [-0.555, -0.285, -3.357], [-1.132, 0.727, 0.402], [-0.587, 0.255, 0.407], [0.688, 0.935, -0.468], [1.218, -0.800, -0.256], [-0.800, -0.278, -0.807], [-1.419, -2.287, -2.651], [1.952, 1.709, -0.450], [0.141, -0.395, 0.079], [-0.130, -0.612, 0.261], [-0.281, -1.130, 0.256], [-1.045, -1.487, 1.739], [-1.430, -1.503, -0.255], [1.269, 1.752, -0.509], [-0.765, 0.029, -1.106], [1.184, -0.189, -0.370], [-0.832, 0.680, -0.351], [-1.022, 0.721, 0.422], [2.613, 0.018, 0.408]],
  "lowdin_charge": [-0.038, -0.276, -0.110, -0.074, -0.050, -0.118, -0.071, 0.099, 0.064, 0.062, 0.073, 0.136, 0.083, 0.102, 0.124, -0.189, -0.171, 0.030, 0.043, 0.067, 0.061, 0.063, 0.094],
  "de_lowest_kcal_mol": 48.1,
  "multiplicity": 1,
  "e_tot_ha": -351.2536,
  "smiles": "Cc1ccccc1.CC",
  "homo_energy_ev": -8.850
}

{
  "formula": "C9H14",
  "method": "ωB97M-V with the def2-TZVPD basis set",
  "species": ["C", "C", "C", "C", "C", "C", "C", "C", "C", "H", "H", "H", "H", "H", "H", "H", "H", "H", "H", "H", "H", "H", "H"],
  "positions_angstrom": [[-1.4964, -1.6892, 2.4273], [-0.1256, -1.0513, 2.4292], [0.2969, -0.2223, 1.5233], [0.7883, 0.6684, 0.6760], [0.7880, 0.3610, -0.7804], [-0.6131, 0.1420, -1.3583], [-1.5336, 1.3883, -1.0957], [1.9285, 1.0006, -1.6012], [1.9650, -0.5199, -1.2176], [-2.0938, -1.4326, 1.5511], [-2.0134, -1.3995, 3.3485], [-1.4268, -2.7964, 2.4051], [0.5712, -1.2098, 3.2419], [1.2246, 1.5951, 0.9864], [-1.0707, -0.7676, -0.8977], [-0.5700, -0.0625, -2.4262], [-1.6566, 1.5793, -0.0276], [-1.0455, 2.2417, -1.5663], [-2.5575, 1.2401, -1.5100], [2.6066, 1.6868, -1.1034], [1.6426, 1.2906, -2.6359], [2.6583, -0.7858, -0.3953], [1.7330, -1.2568, -1.9732]],
[The text goes on]

However, the history of supporting German merchants was quite different. Heinrich Sliacher went on to buy back Kaunas customs from March 1496 to March 1499 at 1 350 scores grosz. Most probably, at the beginning of that period he acquired a house in Kaunas so that he could at least sometimes control the activities of the customs when he arrived. There he encountered a long-lasting friction between the local merchants and the merchants of Gdansk (the Hansa city). The merchants of Kaunas tried in all possible ways to restrict the rights of the merchants of Gdansk to carry goods to Vilnius where the scopes of consumption were larger. Heinrich Sliacher who had his own business in Vilnius, did not want to have a competition with Gdansk merchants. When he began administrating the customs the merchants of Gdansk started writing complaints. They were angry because they had to pay taxes for the second time on the goods carried from Kaunas up the country. It might be that Heinrich Sliacher even falsified the documents presenting the second customs duty as having existed for a long time. The rulers of Lithuania were unable to resolve these problems for many years therefore the activities of Hansa office got stuck, and in 1540 it stopped altogether. This was how Heinrich Sliacher “served’ the glory of the merchants of the German nation. 

In 1504 Heinrich Sliacher lost his post as a chief of the mint in Krakow but as compensation was appointed to head the customs of Kaunas till 1507. In 1504, he arrived in Lithuania and died. He had no children therefore Heinrich Sliacher’s property and supervision of Kaunas customs were given over to the executors of his will Ulrich Hozij and Henryk Karlovich.

Literature: Karalius L., Kauno muitininkas Heinrikas Sliacheris (1496–1499; 1504), Kauno istorijos metraštis, t. 3, 2002, p. 185–201.

Eugenijus Saviščevas